Power for Switzerland and Europe - day and night
Laufenburg (ots)
swissgrid will commence operations as the Swiss national transmission system operator on 15 December 2006. Its motto: "moving power". The company is to take on overall responsibility for the operation of the Swiss extra high-voltage grid and will make a hugely important contribution to power supply in Switzerland. swissgrid is being formed because of the forward-looking attitude of the Swiss grid companies.
As the Swiss transmission system operator, swissgrid will manage the entire 6 700 kilometre extra high-voltage grid safely and reliably and will be the sole point of contact for the operation of that grid. In this role, it will make a substantial contribution to strengthening the electricity hub in the heart of Europe and securing power supplies in Switzerland. As a member of the European UCTE system and of the European Transmission System Operators' organization (ETSO), it will perform important tasks in exchanges of energy within Europe. For example, it will play a leading role in extra high-voltage grids in Europe with modern tools for the development, automation and application of early recognition and monitoring systems. The formation of swissgrid, unencumbered by statutory regulation, is unique throughout Europe and is a voluntary step towards the European electricity market by the Swiss grid companies. This will strengthen the position of the Swiss electricity industry as a European hub.
New Board of Directors
At the first, constitutive General Meeting of Shareholders on 14 December 2006, Konrad Peter, who holds positions as the chairman or member of a number of Boards of Directors, was elected independent Chairman of the Board of Directors. Hans E. Schweickardt, CEO of EOS Holding, was elected Vice-Chairman. Further independent members elected to the Board of Directors were Adrian Bult, CEO of Swisscom Mobile Ltd and member of the Executive Board of Swisscom Ltd, and Conrad Wyder, Director, Senior Delivery Project Executive, IBM Switzerland. State Council member Thomas Burgener, head of the Department of Health, Social Affairs and Energy of the Canton of Wallis, and Fadri Ramming, managing director of the Conference of Energy Directors (EnDK), will hold seats on the Board as cantonal representatives. The following representatives of the shareholding companies were also elected to the Board of Directors: Giovanni Leonardi, Herbert Niklaus (both of Atel), Heinz Karrer, Dr. Hans Schulz (both of Axpo), Kurt Rohrbach (BKW), Dr. Andrew Walo (CKW), Emanuel Höhener (EGL), Dr. Conrad Ammann (EWZ).
Operational management
swissgrid will be taking on most of the previous tasks of grid coordinator ETRANS, and will now have further-reaching powers as the transmission system operator. The Executive Board, under the leadership of Hans-Peter Aebi, will be composed of the same members as at ETRANS.
moving power - swissgrid is the national transmission system operator. In its capacity as transmission grid operator, it ensures the secure, reliable and cost-effective operation of the Swiss extra high-voltage grid. Headquartered in Laufenburg, swissgrid employs approximately 130 highly qualified employees. As a member of the Union for the Coordination of Transmission of Electricity (UCTE) and the European Transmission System Operators (ETSO), it is also responsible for grid monitoring and grid usage with regard to European electricity exchange. swissgrid is wholly owned by the seven Swiss grid companies Atel, BKW, CKW, EGL, EOS, EWZ and NOK.
swissgrid Media Service
Monika Walser
Werkstrasse 12
5080 Laufenburg
Tel.: +41/58/580'24'00
• Attached: quantum chemistry results:
'''
# C29H31N4O5

A cluster of 2 separate species, C29H31N4O5 in total (wB97M-V/def2-TZVPD, the Open Molecules 2025 dataset).

Charge   -1
LUMO level   1.703 eV
Gap between HOMO and LUMO   5.410 eV

Atoms and positions in Å:
C -1.71781 -3.14695 4.26749
N -0.69836 -2.99841 3.25174
C -0.34933 -4.20149 2.64046
O -0.81128 -5.27483 3.03351
N 0.53844 -4.14363 1.57355
C 0.87800 -5.43821 1.02850
C 1.11908 -2.96062 1.07949
O 1.94561 -3.01331 0.16944
C 0.68998 -1.69583 1.70366
C 1.16594 -0.53053 1.17291
C 1.11730 0.78056 1.78459
C 1.25520 1.01119 3.17996
C 0.90377 2.21716 3.75947
C 0.50250 3.30097 2.92387
N 0.13531 4.50236 3.47267
C 0.42498 4.80358 4.85569
C 0.13751 3.60609 5.74183
C 0.91198 2.38073 5.25361
C 0.02598 5.68293 2.64682
C -0.66946 5.36353 1.33724
C 0.06513 4.24047 0.60611
C 0.49865 3.12623 1.50864
C 0.88021 1.91065 0.96978
C -0.36145 -1.72956 2.74389
O -0.95339 -0.73521 3.16692
H -1.93800 -2.17130 4.68842
H -2.61157 -3.59063 3.81714
H -1.35263 -3.84193 5.02585
H 1.60383 -5.29865 0.23612
H 1.27613 -6.06368 1.83071
H -0.03073 -5.91902 0.65809
H 1.57668 -0.57315 0.15580
H 1.63814 0.20366 3.81288
H 1.48667 5.09391 4.95096
H -0.18930 5.66600 5.14547
H 0.42028 3.85306 6.76923
H -0.94012 3.39822 5.72670
H 0.49271 1.47813 5.71632
H 1.95169 2.45511 5.61051
H -0.53212 6.43899 3.21356
H 1.03707 6.08067 2.44788
H -1.70310 5.05875 1.54419
H -0.69787 6.26562 0.72006
H -0.58111 3.82978 -0.18039
H 0.94959 4.65518 0.09705
H 0.92754 1.77412 -0.11666
C -3.62692 -1.89051 -6.92871
C -3.37076 -1.73438 -5.55891
C -2.07030 -1.89460 -5.06321
C -1.03108 -2.26169 -5.92471
C 0.37009 -2.44446 -5.37283
C 1.04899 -1.09079 -5.09176
C 2.48543 -1.12721 -4.56280
O 2.51181 -0.21793 -3.47512
C 1.22222 0.22760 -3.20585
O 1.04491 1.00953 -2.27748
N 0.35323 -0.34825 -4.08397
C -1.28212 -2.41678 -7.29415
C -2.57286 -2.21534 -7.79662
H -4.64243 -1.76783 -7.31888
H -4.17444 -1.48772 -4.86481
H -1.83021 -1.70566 -4.01269
H 0.31420 -2.98907 -4.41593
H 0.98719 -3.02525 -6.07155
H 1.06955 -0.53221 -6.05968
H 2.77754 -2.12560 -4.21634
H 3.19594 -0.80536 -5.33092
H -0.44624 -2.68843 -7.94903
H -2.75196 -2.31876 -8.86577

Results of the Mulliken charge analysis, in e, for atoms 1 through 4:
1 C -1.11
2 N 0.04
3 C 0.55
4 O -0.66


1.
Density functional theory data (ωB97M-V/def2-TZVPD) for one molecule with the formula C4H8N2OS.

Output
- Net charge: 0
- HOMO: -8.1 eV
- Energy relative to the best compared isomer or geometry (same formula, charge and spin): 19.97 kcal per mole
- LUMO energy: 0.612 eV
- E: -740.1302 Ha

Last column: Mulliken charge in e.
Positions of all 16 atoms, in Å:
N: -1.868 1.227 0.757  -0.38
C: -0.588 1.100 0.325  0.44
S: 0.472 2.355 0.290  -0.46
N: -0.193 -0.091 -0.060  0.07
C: -0.709 -1.413 0.341  -0.73
C: 0.708 -1.972 -0.145  0.08
O: 0.703 -2.864 -1.283  -0.57
C: 1.175 -0.530 -0.437  -0.75
H: -2.595 0.553 0.649  0.19
H: -2.153 2.151 1.061  0.20
H: -0.887 -1.537 1.423  0.30
H: -1.575 -1.708 -0.250  0.33
H: 1.245 -2.473 0.663  0.36
H: 0.320 -2.401 -2.053  0.34
'''
Fax: +41/58/580'24'94
E-Mail: media@swissgrid.ch
Internet: www.swissgrid.ch